To do =
Next, count the lines further down that contain the word "forces" and give the number alone.
Entries =
+++
85
Properties=species:S:1:pos:R:3:forces:R:3:lowdin_spin:R:1 method="wB97M-V/def2-TZVPD" multiplicity=8 charge=+1 homo_lumo_gap_ev="5.37 / 4.73" de_lowest_kcal_mol=0.0 e_tot_ha=-6872.12930
Cr 0.63275 -0.05867 0.37668 -1.578 -1.115 -1.287 4.017
C 3.06909 2.09589 3.07404 -0.004 0.629 -0.301 0.009
F 4.02759 2.26528 3.95945 0.095 -0.527 -0.004 0.004
F 1.91330 2.44905 3.59786 -0.064 -0.306 0.086 0.003
F 3.30196 2.88106 2.03087 0.008 -0.252 -0.132 0.002
S 2.90540 0.24317 2.54505 -2.244 -0.339 1.791 0.028
O 4.06502 -0.53227 2.86709 0.261 0.576 -0.658 0.026
O 1.67617 -0.16181 3.16084 0.184 0.478 -0.248 0.047
N 2.50168 0.32779 0.87616 4.623 1.391 1.479 0.092
S 3.97493 0.46497 0.26200 0.677 -1.514 0.710 0.035
O 3.74596 0.84308 -1.19247 0.373 0.402 0.030 0.717
O 5.06041 1.21786 0.89054 -1.404 -0.672 -1.587 0.195
C 4.53256 -1.42460 0.12199 0.612 0.764 -0.471 0.010
F 5.62470 -1.67187 0.78503 0.140 0.251 0.705 0.001
F 3.53128 -2.15496 0.51999 -0.437 -0.389 0.401 0.002
F 4.78472 -1.68967 -1.14642 -0.214 0.188 -0.691 0.004
C -1.21994 0.17170 4.44337 -1.672 -1.159 -0.306 0.076
F -2.24722 0.30782 5.25817 -0.435 0.606 0.461 0.019
F -0.39157 1.16064 4.55631 0.689 0.563 0.153 0.006
F -0.67315 -0.99175 4.73326 0.883 -0.308 0.001 0.015
S -1.95735 0.07742 2.65864 -2.102 -1.216 1.946 0.209
O -1.93249 -1.29986 2.25973 0.596 -0.282 0.028 0.033
O -3.25686 0.69642 2.61822 -0.073 0.456 0.350 0.111
N -0.72343 0.93664 1.48846 0.025 0.279 -0.415 0.916
S -1.06737 2.55063 1.56096 1.868 3.635 -0.570 0.072
O -1.53808 3.10163 2.79483 -0.427 -1.079 -0.472 0.008
O 0.16756 3.12059 1.05651 -0.503 -0.351 0.011 0.068
C -2.38440 2.87015 0.23708 -0.801 -0.344 -0.130 0.015
F -2.15998 2.09784 -0.82895 0.061 -0.172 0.277 0.005
F -3.56146 2.59963 0.77067 -0.021 -0.155 -0.193 0.002
F -2.41679 4.12157 -0.18632 0.682 0.105 0.509 0.009
C 0.40719 -3.68054 -2.47327 -0.342 -0.306 0.353 0.000
O 1.32191 -2.72447 -3.02788 0.243 0.122 -0.379 0.004
C 1.73151 -1.70055 -2.30623 -1.654 0.311 0.150 0.009
O 1.23679 -1.35116 -1.24321 1.130 -0.951 -0.807 0.028
O 2.63188 -0.96358 -2.91739 -0.121 0.480 -0.467 0.009
C 3.17730 -1.36090 -4.20468 1.239 -0.770 0.981 0.001
H -0.17124 -3.27546 -1.65077 0.337 0.134 0.345 0.000
H 1.02057 -4.53045 -2.18551 -0.267 -0.102 0.218 0.000
H -0.33121 -3.98580 -3.21261 0.425 0.151 -0.423 0.000
H 2.53760 -1.28855 -5.07762 -0.436 0.248 0.327 0.000
H 3.52414 -2.38333 -4.06353 -0.103 -0.084 -0.428 0.000
H 4.07410 -0.75191 -4.28392 -0.195 0.203 -0.282 0.000
C -1.18190 -4.94755 1.26112 -0.657 -0.522 0.404 0.000
O -0.32416 -3.93424 0.74982 -0.026 -0.020 -0.905 0.002
C 0.39724 -3.19000 1.56473 -0.777 -0.185 0.293 0.009
O 0.49287 -2.00402 1.38829 0.990 0.060 0.187 0.040
O 0.92314 -3.89609 2.53910 -0.306 -0.736 0.319 0.004
C 1.52311 -3.25291 3.64426 1.207 0.352 1.181 0.000
H -1.80513 -4.52516 2.05002 0.092 -0.039 0.063 0.000
H -0.67631 -5.84355 1.61980 0.352 0.248 0.048 0.000
H -1.84814 -5.25512 0.45788 0.164 0.257 -0.174 0.000
H 2.38929 -2.67785 3.31837 -0.345 0.361 -0.002 0.000
H 1.93865 -3.97664 4.34935 -0.199 -0.623 -0.626 0.000
H 0.84040 -2.69839 4.28703 -0.210 0.382 -0.749 0.000
O -1.35191 -0.67024 -0.71599 -0.768 0.132 -0.007 0.044
S -2.66789 -1.18536 -0.99212 -2.116 0.270 0.125 0.007
O -2.95570 -2.58081 -0.79865 0.663 0.537 -0.443 0.002
O -3.75361 -0.35687 -0.14563 1.680 0.036 0.188 0.001
C -5.10929 -0.84190 -0.13365 -0.827 -0.524 0.770 0.000
C -5.92691 -0.25773 1.03989 1.114 0.336 -1.013 0.001
C -3.18259 -0.68129 -2.65808 0.672 -0.308 -0.017 0.003
H -5.11144 -1.92196 0.00336 0.233 -0.041 -0.412 0.000
H -5.53186 -0.54869 -1.09592 -0.279 -0.221 0.047 0.000
H -6.85545 -0.81779 1.10264 -0.185 0.210 -0.103 0.000
H -6.06597 0.79504 0.79883 -0.451 0.051 0.422 0.000
H -5.39751 -0.33769 1.98623 0.090 -0.076 -0.094 0.001
H -2.31181 -0.36327 -3.23101 0.174 -0.475 0.047 0.000
H -3.84511 0.17951 -2.70475 -0.222 -0.157 0.626 0.000
H -3.64934 -1.57812 -3.05779 -0.007 0.165 -0.306 0.000
O 2.47430 3.16798 -1.90841 -0.080 -1.015 0.405 0.004
+++
Reply =
1